Member Spotlight: Phil Shih

If you’re an entrepreneur, how would you describe your job? Would it simply be about the freedom, autonomy and joy of working for yourself? Probably not. While being your own boss is an amazing experience, there’s no question that starting something from the ground up takes a lot of time, energy and a fair bit of grit. There are times when the challenges seem greater than the rewards — sometimes when you solve one problem you’re faced with 2 more.
As an independent, Toronto-owned and operated flexible workspace provider to teams both big and small, we know what those challenges are and feel privileged that we can make it easier for you to focus on the real work. By trusting us with your workspace needs, which is what we do best, you get to focus on what you do best.
Phil Shih is an entrepreneur who became a Workplace One member a decade ago when he founded Structure Research, a provider of insights and marketshare data on the Internet infrastructure market. In Phil’s own words, “If you are looking for a grounded, independent opinion on the digital infrastructure market with a global perspective, look no further!”
Not everyone may need to know about off-site data storage, but the security and accessibility of large amounts of important data is of extreme value to any business, particularly enterprise companies. Think about when a big-box store announces a huge online sale: the website is inundated with users all at the same time; all adding items to their carts, which need access to a database to ensure stock levels are correct; shipping costs are being calculated; tax rates need to be tallied; and so on. That company needs to know that: a) their website can handle that kind of traffic; b) there will be enough capacity in their servers to deliver the information; and c) all of their cloud-based systems can handle all of the information that is being sent in all directions.
Oversimplifying, Structure Research can tell said-company whether that is a yes or no. And if not, then how they can find a solution.
- - -
ORCA calculation (the ωB97M-V functional and the def2-TZVPD basis) on a cluster of 4 separate species, C44H58BrF5N5O13 in total in a non-equilibrium geometry.

Atoms and positions in Å:
Br (-1.467, 2.764, 3.940)
F (1.235, -0.896, 1.288)
F (-1.078, -4.955, -3.669)
F (-2.185, -5.093, -1.847)
F (-2.878, -3.824, -3.413)
F (0.081, -4.580, -0.057)
O (-9.679, 2.524, -0.999)
O (5.472, 3.197, 4.771)
O (-1.019, -3.277, -2.333)
O (2.130, -2.762, 0.485)
O (-1.595, -3.838, 1.156)
O (-5.829, -2.066, -2.773)
O (5.755, 0.855, -0.297)
O (6.135, -2.465, -3.759)
O (4.487, 3.106, 6.684)
O (7.511, -0.375, -0.232)
O (-8.153, 1.179, -0.315)
O (-1.801, -0.859, 1.471)
O (-6.578, -1.323, -0.821)
N (-0.151, -2.316, 0.253)
N (-9.292, 1.621, -0.291)
N (-1.042, 0.874, 0.255)
N (6.806, 0.503, 0.213)
N (4.659, 2.732, 5.545)
C (-12.047, -0.156, 2.350)
C (8.785, 1.386, 3.237)
C (0.260, 1.368, -3.234)
C (3.552, 1.050, -3.397)
C (0.230, -0.608, -1.545)
C (-4.302, -1.159, 0.005)
C (-6.411, -1.211, -2.180)
C (2.239, -0.421, 4.130)
C (-12.451, 0.888, 1.528)
C (-1.746, -2.270, -1.637)
C (1.176, -2.102, 0.628)
C (7.221, 1.164, 1.459)
C (-10.736, -0.612, 2.312)
C (-1.787, -4.285, -2.820)
C (4.009, 1.166, 3.766)
C (-1.775, -0.454, 0.142)
C (3.152, 0.333, -2.097)
C (6.781, 2.723, 3.202)
C (-9.822, -0.029, 1.450)
C (-10.249, 1.007, 0.640)
C (8.412, 0.780, 2.048)
C (6.470, -1.096, -3.575)
C (-5.691, -0.480, -0.071)
C (5.538, -0.225, -4.420)
C (0.656, 2.724, 2.043)
C (-0.892, 1.550, -1.066)
C (3.808, 1.629, 5.052)
C (5.052, 1.051, -3.691)
C (1.157, -1.409, -2.488)
C (2.848, 1.097, 5.893)
C (6.398, 2.130, 2.011)
C (3.215, 0.127, 3.306)
C (-0.572, 1.903, 2.466)
C (2.055, 0.061, 5.421)
C (6.370, -3.278, -2.624)
C (-1.585, 1.798, 1.332)
C (-0.814, -1.444, -0.744)
C (-6.999, 0.004, -2.826)
C (-11.548, 1.481, 0.661)
C (-3.188, -0.180, -0.397)
C (-0.534, 0.573, -2.191)
C (-0.641, -3.626, 0.500)
C (2.657, -1.111, -2.285)
C (7.971, 2.351, 3.815)
H (-11.845, 2.294, 0.016)
H (3.194, 2.082, -3.334)
H (-2.233, -1.630, -2.370)
H (-4.374, -1.998, -0.685)
H (4.670, -0.833, -4.680)
H (3.178, -1.523, -3.155)
H (-6.841, -0.062, -3.900)
H (3.364, -0.256, 2.305)
H (-12.759, -0.618, 3.020)
H (-1.436, 0.225, -2.696)
H (-2.531, -2.744, -1.046)
H (-1.824, 2.081, -1.263)
H (4.772, 1.606, 3.141)
H (0.827, -1.336, -3.526)
H (2.721, 1.487, 6.892)
H (-0.437, 1.959, -3.834)
H (-3.511, 0.813, -0.069)
H (1.105, 3.235, 2.890)
H (-5.635, 0.491, -0.565)
H (6.710, -4.256, -2.967)
H (3.997, 0.255, -1.419)
H (-10.425, -1.426, 2.952)
H (9.031, 0.025, 1.588)
H (-1.658, 2.787, 0.874)
H (-8.053, 0.134, -2.596)
H (1.426, 2.054, 1.639)
H (-6.147, -0.380, 0.911)
H (-3.203, -0.102, -1.486)
H (-4.182, -1.539, 1.020)
H (5.246, 1.903, -4.347)
H (-13.473, 1.241, 1.559)
H (5.625, 1.224, -2.775)
H (3.018, 0.582, -4.230)
H (0.771, 0.711, -3.933)
H (9.712, 1.099, 3.715)
H (5.449, -3.393, -2.042)
H (6.150, 3.475, 3.656)
H (0.923, -0.126, -0.844)
H (-6.499, 0.912, -2.478)
H (3.003, -1.706, -1.441)
H (2.442, 0.964, -1.548)
H (-2.584, 1.510, 1.638)
- - -

Phil’s decision to leave his job with a larger traditional firm and start Structure Research came from his desire to do things differently and offer a truly unique approach to the service they provide. As Structure Research explains, a major aspect that sets them apart from larger and traditional organizations includes their middle market approach rather than an exclusive enterprise focus like “most incumbent research firms”. They are also key disruptors in their approach to analyze sector trends and developments in new ways. “We take pride in being a boutique firm with no bureaucracy. We get stuff done and get it done quickly”. With a business philosophy like that, we couldn’t think of a member who fits with our own Workplace One approach better.
While many members find a Workplace One location to call their forever perfect workspace, others often find that their business needs change and develop based on the numerous and constantly evolving challenges that they face. Phil’s first challenge he had when looking for a workspace was the fact that he was a mature professional who wanted a nice space where he could focus; a place that was highly professional and free from distractions. On the other hand, he was assembling a team that required a fresh, younger take on his industry and therefore needed a space that catered to “millennial sensibilities” as well as his own. Phil comments that Workplace One meets all of his professional needs, while also having a fresh and energetic sense of community that his younger teammates value in a workplace.
[Between two parts of the page: molecular data]
Below is 2 unconnected molecules or ions with the total composition CH5N2O2, with properties calculated with ωB97M-V/def2-TZVPD.

Last column: Mulliken charge in e.
CARTESIAN COORDINATES (ANGSTROEM)
N1 -1.25604 -2.43703 0.66576  -0.74
H1 -1.97399 -2.21295 1.32851  0.19
H2 -0.75685 -1.60632 0.36276  0.32
H3 -0.57369 -2.98960 1.15700  0.19
N2 0.36689 2.03375 -0.32049  -0.47
C1 0.36996 0.60780 -0.22590  0.63
O1 0.59432 0.16656 0.93277  -0.78
O2 0.13277 -0.02287 -1.26808  -0.73
H4 0.95779 2.53032 0.29916  0.19
H5 0.26834 2.36950 -1.25628  0.20

Atoms 1-6, force components in eV/Å:
0.027 -0.651 -0.525
-0.155 0.415 0.252
-0.071 0.338 0.057
0.201 -0.151 0.189
-0.834 -0.409 -0.477
0.360 0.167 1.002

HOMO level: -3.978 eV
relative energy (zero: lowest compared OMol25 entry of this formula, charge and spin): 3.7 kcal per mole
total charge: -1
max |F|: 1.078 eV/A

---

Below is a molecular structure, CH5N2OPS, with properties calculated with ωB97M-V/def2-TZVPD.

Last column: Mulliken charge in e.
CARTESIAN COORDINATES (ANGSTROEM)
C1 0.94359 -0.23603 -0.04248  0.71
N1 2.12617 -0.44799 -0.58222  -0.38
N2 0.34048 0.83359 -0.48204  -0.66
O1 0.33201 -1.07922 0.70639  -0.73
P1 -1.15550 0.81204 0.28817  0.46
S1 -2.80264 -0.43271 -0.11525  -0.28
H1 2.50761 0.42637 -0.98100  0.25
H2 2.62078 -1.27945 -0.39523  0.21
H3 -1.62264 2.02475 -0.07364  0.07
H4 -1.21695 0.98887 1.66395  0.10
H5 -2.07292 -1.61022 0.01334  0.24

Atoms 1-6, force components in eV/Å:
-1.739 -3.172 1.038
1.449 1.601 -0.741
-3.510 2.465 0.645
0.620 0.739 -0.379
2.175 -0.564 -0.546
1.048 -0.768 -0.161

HOMO level: -9.456 eV
relative energy (zero: lowest compared OMol25 entry of this formula, charge and spin): 0.0 kcal per mole
total charge: 0
max |F|: 4.338 eV/A

---

Below is 2 unconnected molecules or ions with the total composition CH5N2S, with properties calculated with ωB97M-V/def2-TZVPD.

Last column: Mulliken charge in e.
CARTESIAN COORDINATES (ANGSTROEM)
S1 2.58228 -0.02411 -0.38660  -0.81
H1 2.83568 -1.33917 -0.25569  -0.02
N1 -0.44844 -0.53800 -0.58686  -0.35
C1 -1.14279 0.43609 0.07554  0.12
N2 -1.61038 0.62212 1.26667  -0.75
H2 -0.73835 -1.48806 -0.77050  0.20
H3 0.62908 -0.47858 -0.45136  0.04
H4 -1.03514 1.39087 -0.49234  0.28
H5 -1.07192 1.41883 1.60114  0.27

Atoms 1-6, force components in eV/Å:
0.235 -0.180 0.041
0.076 0.072 0.023
-0.899 -1.524 -0.946
1.427 2.527 0.416
0.780 -2.622 0.119
-0.292 0.018 0.820

HOMO level: -3.223 eV
relative energy (zero: lowest compared OMol25 entry of this formula, charge and spin): 51.9 kcal per mole
total charge: -1
max |F|: 2.932 eV/A

---

Number 1: gap between HOMO and LUMO 8.55 eV. Number 2: gap between HOMO and LUMO 9.96 eV. Number 3: gap between HOMO and LUMO 7.66 eV.
The next challenge Phil faced in his entrepreneurial workspace journey was that he and his team members were coming in from different areas of the city. “It was so important to have a space that gave all of us a reasonable commute, whether off of transit lines or within walking/biking distance”. This evolving need had Phil change the company’s location from our Liberty Village workspace to our Bay-Bloor hub that the team still calls home today. Even though Structure Research has a their private office location at Bay-Bloor, Phil knew that many of his long-standing clients and companies weren’t always the best at updating addresses and wanted to maintain the companies presence on the city’s West End, so Phil maintains his virtual office services at our Liberty location while working consistently out of his Bay-Bloor private office.
As service providers (albeit in a different way), we understand the importance of providing our members with solutions. That’s why we say that we do the work that lets you get right to work.